• Wanted:
What is needed: quote the contents below from the line with "4.152" to the end character by character.

• Entries:
********
22
Lattice="-3.839 3.487 -3.515 -2.305 -1.500 5.629 2.906 6.317 2.957" Properties=species:S:1:pos:R:3 comment="Sm2Re3B6, optimized geometry, DFT r2SCAN" e_form_ev_per_atom=-0.549 energy_ev_per_atom=-24.2558 pbc="T T T"
B 0.448 6.658 4.112
B -3.165 5.816 3.135
B -1.146 3.958 1.794
B -2.091 4.347 3.278
B -3.685 1.646 0.960
B -0.072 2.488 1.937
B -1.335 8.500 2.271
B -1.902 -0.195 2.801
B -4.475 2.190 2.513
B -1.105 5.093 0.374
B -2.133 3.211 4.698
B 1.237 6.114 2.559
Re -3.006 8.005 3.755
Re -1.023 6.157 2.496
Re 0.940 4.376 1.114
Re -4.177 3.929 3.958
Re -2.215 2.148 2.576
Re -0.231 0.300 1.317
Sm -3.812 4.366 0.920
Sm -1.827 5.796 5.568
Sm 0.574 3.938 4.152
Sm -1.411 2.508 -0.496

---

6
Lattice="-2.081 2.081 9.003 2.081 -2.081 9.003 2.081 2.081 -9.003" Properties=species:S:1:pos:R:3 comment="UTeAs, optimized geometry, DFT r2SCAN" e_form_ev_per_atom=-1.020 energy_ev_per_atom=-41.0423 pbc="T T T"
U 0.000 0.000 2.181
U 0.000 0.000 15.825
Te 0.000 0.000 12.379
Te 0.000 0.000 5.628
As 0.000 2.081 0.000
As 2.081 0.000 0.000

---

5
Lattice="-3.224 3.130 1.978 -1.985 0.753 -4.427 -3.126 -3.707 0.771" Properties=species:S:1:pos:R:3 comment="Y3PbC, optimized geometry, DFT r2SCAN" e_form_ev_per_atom=-0.719 energy_ev_per_atom=-26.1540 pbc="T T T"
C -4.167 0.088 -0.839
Y -3.175 -0.288 1.375
Y -2.604 1.942 -1.224
Y -2.555 -1.477 -1.828
Pb 0.000 0.000 0.000

---

72
Lattice="-8.116 5.189 4.015 -4.519 0.208 -9.405 -4.756 -9.052 2.085" Properties=species:S:1:pos:R:3 comment="SiO2, optimized geometry, DFT r2SCAN" e_form_ev_per_atom=-2.998 energy_ev_per_atom=-9.9044 pbc="T T T"
O -8.786 -5.160 1.197
O -4.514 -0.247 -6.895
O -7.071 3.439 2.483
O -8.906 -0.212 -6.490
O -10.023 2.154 -0.382
O -12.877 -3.409 3.591
O -11.703 -0.915 -2.093
O -5.360 -2.637 -6.153
O -7.970 -2.623 -5.903
O -11.439 -3.240 -0.910
O -12.031 -1.019 2.848
O -9.575 -7.185 -3.254
O -5.688 -2.741 -1.212
O -12.658 2.967 -4.617
O -4.720 -2.406 1.224
O -10.566 -2.457 4.479
O -9.421 -1.033 2.599
O -7.368 -5.810 -2.923
O -8.605 1.504 -4.502
O -6.600 -4.786 -5.246
O -6.825 -1.199 -7.783
O -5.169 1.513 -0.752
O -12.222 -5.168 -2.553
O -10.320 -7.095 -5.787
O -5.952 -0.416 -2.395
O -10.791 1.130 1.941
O -13.413 -1.634 -0.197
O -7.294 -7.303 1.438
O -4.733 -6.623 1.312
O -8.485 -3.444 3.185
O -8.584 -6.864 -0.826
O -10.935 -1.019 0.433
O -8.807 3.208 -2.479
O -10.896 1.371 -5.770
O -9.662 -4.813 -2.070
O -7.816 3.529 -0.051
O -6.495 -5.027 2.466
O -9.641 3.507 1.831
O -12.671 -1.250 -4.528
O -10.136 -0.629 -4.202
O -7.729 1.157 -1.235
O -3.978 -2.022 -3.107
O -7.750 -7.163 -5.135
O -10.097 3.647 -4.742
O -6.396 -0.634 0.180
O -7.255 -3.027 0.898
O -10.995 -3.021 -3.484
O -6.456 -2.637 -3.737
Si -5.515 -1.961 -2.626
Si -8.249 -1.553 -7.093
Si -9.142 -2.102 3.788
Si -8.154 4.038 1.451
Si -7.756 -4.150 1.939
Si -6.069 -6.571 2.213
Si -8.803 -6.164 -2.255
Si -6.016 -2.210 0.285
Si -11.375 -1.446 -3.590
Si -10.796 -0.476 1.944
Si -11.876 -1.695 -0.679
Si -5.298 -1.571 -7.373
Si -8.588 2.508 -1.050
Si -10.651 2.484 1.079
Si -12.093 -2.085 4.069
Si -6.595 -3.180 -5.248
Si -11.077 -4.075 -2.254
Si -8.733 3.068 -4.082
Si -6.740 -6.140 -4.383
Si -8.658 -6.724 0.778
Si -9.635 0.494 -5.244
Si -11.322 2.915 -5.517
Si -9.237 -7.694 -4.756
Si -6.314 0.419 -1.051

---

64
Lattice="7.579 0.000 0.000 0.000 7.579 0.000 0.000 0.000 14.725" Properties=species:S:1:pos:R:3 comment="KNaCaThSi8O20, optimized geometry, DFT r2SCAN" e_form_ev_per_atom=-3.135 energy_ev_per_atom=-11.8764 pbc="T T T"
O 6.827 1.818 2.330
O 0.753 1.818 5.032
O 1.806 2.390 7.380
O 5.761 0.753 9.693
O 5.773 2.390 14.708
O 0.801 1.927 9.803
O 1.927 0.801 2.440
O 4.120 1.967 12.717
O 3.459 5.613 12.717
O 6.778 1.927 12.285
O 2.390 5.773 7.345
O 0.801 5.652 12.285
O 3.419 1.933 5.347
O 4.160 1.933 2.016
O 5.189 5.773 0.018
O 5.647 4.160 12.709
O 5.652 6.778 2.440
O 1.933 4.160 9.379
O 3.419 5.647 2.016
O 0.753 5.761 2.330
O 1.967 3.459 2.008
O 4.160 5.647 5.347
O 5.613 4.120 2.008
O 2.390 1.806 0.018
O 4.120 5.613 9.371
********

• Written answer:
Sm 0.574 3.938 4.152
Sm -1.411 2.508 -0.496

---

6
Lattice="-2.081 2.081 9.003 2.081 -2.081 9.003 2.081 2.081 -9.003" Properties=species:S:1:pos:R:3 comment="UTeAs, optimized geometry, DFT r2SCAN" e_form_ev_per_atom=-1.020 energy_ev_per_atom=-41.0423 pbc="T T T"
U 0.000 0.000 2.181
U 0.000 0.000 15.825
Te 0.000 0.000 12.379
Te 0.000 0.000 5.628
As 0.000 2.081 0.000
As 2.081 0.000 0.000

---

5
Lattice="-3.224 3.130 1.978 -1.985 0.753 -4.427 -3.126 -3.707 0.771" Properties=species:S:1:pos:R:3 comment="Y3PbC, optimized geometry, DFT r2SCAN" e_form_ev_per_atom=-0.719 energy_ev_per_atom=-26.1540 pbc="T T T"
C -4.167 0.088 -0.839
Y -3.175 -0.288 1.375
Y -2.604 1.942 -1.224
Y -2.555 -1.477 -1.828
Pb 0.000 0.000 0.000

---

72
Lattice="-8.116 5.189 4.015 -4.519 0.208 -9.405 -4.756 -9.052 2.085" Properties=species:S:1:pos:R:3 comment="SiO2, optimized geometry, DFT r2SCAN" e_form_ev_per_atom=-2.998 energy_ev_per_atom=-9.9044 pbc="T T T"
O -8.786 -5.160 1.197
O -4.514 -0.247 -6.895
O -7.071 3.439 2.483
O -8.906 -0.212 -6.490
O -10.023 2.154 -0.382
O -12.877 -3.409 3.591
O -11.703 -0.915 -2.093
O -5.360 -2.637 -6.153
O -7.970 -2.623 -5.903
O -11.439 -3.240 -0.910
O -12.031 -1.019 2.848
O -9.575 -7.185 -3.254
O -5.688 -2.741 -1.212
O -12.658 2.967 -4.617
O -4.720 -2.406 1.224
O -10.566 -2.457 4.479
O -9.421 -1.033 2.599
O -7.368 -5.810 -2.923
O -8.605 1.504 -4.502
O -6.600 -4.786 -5.246
O -6.825 -1.199 -7.783
O -5.169 1.513 -0.752
O -12.222 -5.168 -2.553
O -10.320 -7.095 -5.787
O -5.952 -0.416 -2.395
O -10.791 1.130 1.941
O -13.413 -1.634 -0.197
O -7.294 -7.303 1.438
O -4.733 -6.623 1.312
O -8.485 -3.444 3.185
O -8.584 -6.864 -0.826
O -10.935 -1.019 0.433
O -8.807 3.208 -2.479
O -10.896 1.371 -5.770
O -9.662 -4.813 -2.070
O -7.816 3.529 -0.051
O -6.495 -5.027 2.466
O -9.641 3.507 1.831
O -12.671 -1.250 -4.528
O -10.136 -0.629 -4.202
O -7.729 1.157 -1.235
O -3.978 -2.022 -3.107
O -7.750 -7.163 -5.135
O -10.097 3.647 -4.742
O -6.396 -0.634 0.180
O -7.255 -3.027 0.898
O -10.995 -3.021 -3.484
O -6.456 -2.637 -3.737
Si -5.515 -1.961 -2.626
Si -8.249 -1.553 -7.093
Si -9.142 -2.102 3.788
Si -8.154 4.038 1.451
Si -7.756 -4.150 1.939
Si -6.069 -6.571 2.213
Si -8.803 -6.164 -2.255
Si -6.016 -2.210 0.285
Si -11.375 -1.446 -3.590
Si -10.796 -0.476 1.944
Si -11.876 -1.695 -0.679
Si -5.298 -1.571 -7.373
Si -8.588 2.508 -1.050
Si -10.651 2.484 1.079
Si -12.093 -2.085 4.069
Si -6.595 -3.180 -5.248
Si -11.077 -4.075 -2.254
Si -8.733 3.068 -4.082
Si -6.740 -6.140 -4.383
Si -8.658 -6.724 0.778
Si -9.635 0.494 -5.244
Si -11.322 2.915 -5.517
Si -9.237 -7.694 -4.756
Si -6.314 0.419 -1.051

---

64
Lattice="7.579 0.000 0.000 0.000 7.579 0.000 0.000 0.000 14.725" Properties=species:S:1:pos:R:3 comment="KNaCaThSi8O20, optimized geometry, DFT r2SCAN" e_form_ev_per_atom=-3.135 energy_ev_per_atom=-11.8764 pbc="T T T"
O 6.827 1.818 2.330
O 0.753 1.818 5.032
O 1.806 2.390 7.380
O 5.761 0.753 9.693
O 5.773 2.390 14.708
O 0.801 1.927 9.803
O 1.927 0.801 2.440
O 4.120 1.967 12.717
O 3.459 5.613 12.717
O 6.778 1.927 12.285
O 2.390 5.773 7.345
O 0.801 5.652 12.285
O 3.419 1.933 5.347
O 4.160 1.933 2.016
O 5.189 5.773 0.018
O 5.647 4.160 12.709
O 5.652 6.778 2.440
O 1.933 4.160 9.379
O 3.419 5.647 2.016
O 0.753 5.761 2.330
O 1.967 3.459 2.008
O 4.160 5.647 5.347
O 5.613 4.120 2.008
O 2.390 1.806 0.018
O 4.120 5.613 9.371